Brief:
Could you reproduce the lines below unchanged?
Source:
First-principles (GGA+U) data for crystalline Li9V3W7O28 at its relaxed geometry, as listed in Alexandria via LeMat-Bulk.

a = 12.0934 Å, b = 12.0934 Å, c = 14.8194 Å
α = 90.00°, β = 90.00°, γ = 120.00°
Closest atoms and distances in Å follow each position.
Space group R3m (No. 160, hexagonal axes)
Symmetry-distinct sites (fractional):
Li1 0.0631 0.3879 0.0000 (multiplicity 18)  4 O 2.01-2.23
Li2 0.1757 0.0879 0.7092 (multiplicity 9)  3 O 1.98-2.05
V1 0.0131 0.5066 0.8436 (multiplicity 9)  6 O 2.10-2.30
W1 0.0000 0.0000 0.3205 (multiplicity 3)  3 O 1.88
W2 0.0013 0.5006 0.4708 (multiplicity 9)  4 O 1.80-1.83
W3 0.0944 0.1888 0.5182 (multiplicity 9)  3 O 1.81-1.85
O1 0.0000 0.0000 0.5770 (multiplicity 3)  3 W 2.16
O2 0.0000 0.5000 0.5924 (multiplicity 9)  1 W 1.80, 2 Li 2.01
O3 0.0214 0.5107 0.0989 (multiplicity 9)  1 W 1.81
O4 0.0834 0.1668 0.2731 (multiplicity 9)  1 W 1.88
O5 0.0827 0.4129 0.7621 (multiplicity 18)  1 W 1.83, 1 Li 2.02
O6 0.0850 0.1700 0.7630 (multiplicity 9)  1 W 1.80, 2 Li 1.98
O7 0.0990 0.4308 0.2568 (multiplicity 18)  1 W 1.85, 1 Li 2.06
O8 0.1522 0.0761 0.4379 (multiplicity 9)  3 W 2.17-2.36, 1 V 2.30

Output
total DFT energy (no corrections) = -6.89 eV per atom
Reply:
First-principles (GGA+U) data for crystalline Li9V3W7O28 at its relaxed geometry, as listed in Alexandria via LeMat-Bulk.

a = 12.0934 Å, b = 12.0934 Å, c = 14.8194 Å
α = 90.00°, β = 90.00°, γ = 120.00°
Closest atoms and distances in Å follow each position.
Space group R3m (No. 160, hexagonal axes)
Symmetry-distinct sites (fractional):
Li1 0.0631 0.3879 0.0000 (multiplicity 18)  4 O 2.01-2.23
Li2 0.1757 0.0879 0.7092 (multiplicity 9)  3 O 1.98-2.05
V1 0.0131 0.5066 0.8436 (multiplicity 9)  6 O 2.10-2.30
W1 0.0000 0.0000 0.3205 (multiplicity 3)  3 O 1.88
W2 0.0013 0.5006 0.4708 (multiplicity 9)  4 O 1.80-1.83
W3 0.0944 0.1888 0.5182 (multiplicity 9)  3 O 1.81-1.85
O1 0.0000 0.0000 0.5770 (multiplicity 3)  3 W 2.16
O2 0.0000 0.5000 0.5924 (multiplicity 9)  1 W 1.80, 2 Li 2.01
O3 0.0214 0.5107 0.0989 (multiplicity 9)  1 W 1.81
O4 0.0834 0.1668 0.2731 (multiplicity 9)  1 W 1.88
O5 0.0827 0.4129 0.7621 (multiplicity 18)  1 W 1.83, 1 Li 2.02
O6 0.0850 0.1700 0.7630 (multiplicity 9)  1 W 1.80, 2 Li 1.98
O7 0.0990 0.4308 0.2568 (multiplicity 18)  1 W 1.85, 1 Li 2.06
O8 0.1522 0.0761 0.4379 (multiplicity 9)  3 W 2.17-2.36, 1 V 2.30

Output
total DFT energy (no corrections) = -6.89 eV per atom